Incoming Links Report
The entry Timeslip is linked from 256 other SFE entries as follows. (Items marked > are cross-reference entries only.)
- About Time
- Ackroyd, Peter
- Adams, Scott
- Alexander, Karl
- Allan, Nina
- Allen, Grant
- Anderson, Kevin J
- Anderson, Maxwell
- Argosy, The
- Armour, Donald
- Armstrong, Kelley
- Ascendance of a Bookworm
- Asimov, Isaac
- Atkey, Bertram
- Atkinson, Kate
- Balderston, John L
- Barker, Nicola
- Bermuda Triangle
- Beukes, Lauren
- Bhattacharya, Tathagata
- Biggles
- Blue Book Magazine, The
- Bradwell, James
- Bridge, Ann
- Brooke, Jocelyn
- Brown, George Mackay
- Burgess, Melvin
- Burke, James Lee
- Butts, Ed
- Cameron, Eleanor
- Cameron, Ian [2]
- Campion, Sarah
- Carr, John Dickson
- Carter, Bruce
- Case, Josephine Young
- Caswell, Brian
- Caveney, Philip
- Chamberlain, Betsey
- Chambers, Robert W
- Ciencin, Scott
- Clarke, Arthur C
- Clarke, Lindsay
- Coon, Susan
- Cooper, Iver P
- Cooper, Susan
- Corlett, William
- Coulton, G G
- Crawshay-Williams, Eliot
- Crichton, Neil
- Crilley, Paul
- Cultural Engineering
- Danielewski, Mark Z
- Day Time Ended, The
- De Mendelssohn, Peter
- Deeping, Warwick
- Deutsch, A J
- Dickinson, Charles
- Dobozy, Tamas
- Dorn, Michael
- Dream Theater
- du Maurier, Daphne
- Dunsany, Lord
- Eisenberg, Larry
- Evans, Linda
- Fantastic Journey, The
- Field of Dreams
- Final Countdown, The
- Finney, Jack
- Flint, Eric
- Forsyth, Frederick
- Foster, W Bert
- Fowler, Christopher
- Francis, Matthew
- Frost, Conrad
- FTL [magazine]
- Garner, Alan
- Gautier, Théophile
- Gilliam, Terry
- Goldstein, Lisa
- Grantville Gazette
- Gray, John
- Great and Small
- Green, Terence M
- Griffin, Peni R
- Grim Adventures of Billy & Mandy, The
- Hanmura Ryō
- Harris, Rosemary
- Hawthorne, Julian
- Heinlein, Robert A
- History in SF
- Horwood, William
- Hoyle, Fred
- It Happened Tomorrow
- Jerome, Jerome K
- Jersild, P C
- Johns, W E
- Johnson, Charles
- Jong, Erica
- Joseph, M K
- Journeyman
- Kelleher, Victor
- Kersh, Gerald
- Kilworth, Garry
- Kinsella, W P
- Kirkham, Nellie
- Knox, Ronald A
- Koch, Polly
- Kunzru, Hari
- Kuttner, Henry
- Land of the Lost
- Laski, Marghanita
- Leinster, Murray
- Lerman, Rhoda
- Levitin, Sonia
- Life on Mars
- Longstreth, T Morris
- Lowenstein, Sallie
- MacDonald, Caroline
- MacGregor, Rob
- McLaughlin, Dean
- MacMillan, Armour
- Mama Wa Shōgaku Yon-Nensei
- Mamatas, Nick
- Marley, Louise
- Marlow, Louis
- Marshall, Edison
- Martin, Graham Dunstan
- Masciola, Carol
- Masson, David I
- Mayne, William
- Meynell, Esther
- Miller, Eugenia
- Miniaturization
- Mitchell, J Leslie
- Monir, Alexandra
- Montimore, Margarita
- Monty Python's Flying Circus
- Morley, Felix
- Morris, William
- Mysterious Stranger
- Nathan, Robert
- Nelder, Geoff
Attached: data records >
/*
(1)
The following is a quantum chemistry calculation of a single C2H4N2O molecule in a non-equilibrium geometry, from OMol25.

Geometry as XYZ:
```
9
Properties=species:S:1:pos:R:3:forces:R:3
O 0.23232 -2.24001 -1.92955 -0.297 2.057 1.036
N -0.19739 0.42389 -0.15318 0.981 -0.542 3.575
N 0.02658 -0.80823 -0.10118 -0.397 1.520 -2.775
C -0.05578 -1.12409 -1.51165 0.164 -4.450 -1.953
C 0.05421 0.92031 1.22922 0.005 1.018 -0.100
H -0.90291 1.09656 1.72565 0.026 0.143 -0.129
H -0.42048 -0.38769 -2.25212 0.134 0.400 0.797
H 0.59974 1.86541 1.14111 -0.316 0.027 0.011
H 0.66369 0.25385 1.85170 -0.301 -0.173 -0.462
```
Positions in Å, forces in eV/Å.

Values from the calculation:
- SMILES = C/N=N/C=O
- net charge = 0

Here are the Mulliken charges for atoms 1 to 8, given in e: O -0.451; N -0.137; N -0.159; C 0.129; C -0.599; H 0.260; H 0.375; H 0.260

(2)
The following is a quantum chemistry calculation of 2 unconnected molecules or ions with the total composition C2H4N2O in a non-equilibrium geometry, from OMol25.

Geometry as XYZ:
```
9
Properties=species:S:1:pos:R:3:forces:R:3
O -1.10368 -4.24879 1.65425 -0.904 -0.759 -0.029
N 0.35416 0.14111 0.06713 0.782 -1.045 -1.408
N 0.46054 -2.61166 1.02009 0.353 0.867 -0.135
C -0.66054 0.84197 -0.13618 0.159 -0.111 1.641
C -0.39214 -3.39396 1.34102 0.927 0.705 0.468
H 0.64720 -1.63379 1.28629 -0.351 -0.877 -0.290
H -0.83920 1.49116 0.65570 -0.879 1.797 1.015
H 0.36294 -0.48720 -0.73868 0.743 -0.586 0.192
H -1.40205 0.67025 -0.85541 -0.831 0.009 -1.453
```
Positions in Å, forces in eV/Å.

Values from the calculation:
- SMILES = N=C=O.C=N
- net charge = 0

Here are the Mulliken charges for atoms 1 to 8, given in e: O -0.414; N -0.531; N -0.443; C -0.239; C 0.523; H 0.351; H 0.265; H 0.251

(3)
The following is a quantum chemistry calculation of 2 unconnected molecules or ions with the total composition C2H4N2O in a non-equilibrium geometry, from OMol25.

Geometry as XYZ:
```
9
Properties=species:S:1:pos:R:3:forces:R:3
O 0.11098 -2.45274 1.03398 0.167 -1.340 -0.211
N 0.69671 0.25215 1.33600 -0.507 -2.856 -0.095
N -0.64056 -0.81763 -0.41613 -3.285 3.513 -5.435
C -0.04522 -1.45905 0.44150 2.739 2.277 4.136
C -0.81778 -0.02174 -1.43269 4.191 -2.851 0.327
H -0.22048 0.52805 1.64343 -0.950 0.779 -0.256
H -1.72598 0.41371 -1.71722 -1.438 0.588 0.399
H 0.92923 -0.21096 2.23801 0.623 0.058 -0.613
H 0.03974 0.08592 -2.23151 -1.540 -0.169 1.749
```
Positions in Å, forces in eV/Å.

Values from the calculation:
- net charge = 0

Here are the Mulliken charges for atoms 1 to 8, given in e: O -0.414; N -0.715; N -0.156; C 0.504; C -0.159; H 0.215; H 0.286; H 0.230

(4)
The following is a quantum chemistry calculation of a single C2H4N2O molecule in a non-equilibrium geometry, from OMol25.

Geometry as XYZ:
```
9
Properties=species:S:1:pos:R:3:forces:R:3
O 2.12610 0.13336 -0.19677 -4.278 1.994 2.424
N -1.29060 -0.64784 -0.09992 -0.610 3.457 -1.827
N 0.07431 -0.69213 0.17552 -3.992 8.191 2.197
*/
End of the data records >
- Nesbit, E
- Newman, Sandra
- Newspaper from the Future >
-- What comes next are data records, not part of the article --
........
No. 1
This record from the Open Molecules 2025 dataset describes a cluster of 4 separate species, C4H7Cl9 in total at a distorted geometry. The level of theory is ωB97M-V/def2-TZVPD.

Values from the calculation:
highest occupied orbital energy: -10.89 eV
LUMO energy: 0.39 eV
max |F|: 1.346 eV Å⁻¹
structure (SMILES): ClC(Cl)Cl.ClCCl.ClCCl.ClCCl
HOMO-LUMO gap: 0.41464 Ha
relative energy (zero: lowest compared OMol25 entry of this formula, charge and spin): 0.323 eV
E_tot: -4298.31701 Ha

ORCA input file:
```
! RIJCOSX wB97M-V def2-TZVPD def2/J DEFGRID3
* xyz 0 1
C 8.7330 -17.5133 15.6209
Cl 7.8660 -19.0577 15.8170
Cl 8.2183 -16.3192 16.7764
Cl 8.4549 -16.8862 13.9589
H 9.7705 -17.8099 15.6724
C 8.4168 -20.7547 18.8915
Cl 7.0882 -21.8729 18.6700
Cl 9.2043 -20.8661 20.4873
H 9.1505 -21.0293 18.1376
H 8.1211 -19.7360 18.6667
C 5.9242 -21.7257 14.2466
Cl 4.5680 -22.6031 15.0268
Cl 5.4451 -20.3180 13.3186
H 6.6214 -21.4451 15.0253
H 6.3620 -22.4524 13.5729
C 11.3798 -21.5533 14.1837
Cl 9.7137 -22.2141 14.1398
Cl 11.3418 -19.8359 14.5570
H 11.9214 -22.0777 14.9602
H 11.8517 -21.6745 13.2173
*
```

No. 2
This record from the Open Molecules 2025 dataset describes a structure of composition C12H7AuN5OS2. The level of theory is ωB97M-V/def2-TZVPD.

Values from the calculation:
highest occupied orbital energy: -11.96 eV
LUMO energy: -5.43 eV
max |F|: 0.745 eV Å⁻¹
HOMO-LUMO gap: 0.23998 Ha
relative energy (zero: lowest compared OMol25 entry of this formula, charge and spin): 0.022 eV
E_tot: -1742.21163 Ha

ORCA input file:
```
! RIJCOSX wB97M-V def2-TZVPD def2/J DEFGRID3
* xyz 1 1
Au -0.1245 0.1268 0.2976
O -1.2187 0.6262 -1.3220
N -1.2469 1.9589 -1.5824
C -1.7648 2.2935 -2.7825
C -1.8631 3.6091 -3.1423
C -1.4040 4.5858 -2.2589
C -0.8521 4.2140 -1.0547
C -0.7737 2.8654 -0.7101
S -0.1084 2.3394 0.8105
H -2.0707 1.4534 -3.3871
H -2.2765 3.8641 -4.1061
H -1.4654 5.6322 -2.5232
H -0.4638 4.9456 -0.3606
S -0.9107 -4.3842 -0.0126
C -2.2429 -3.5208 0.6187
C -1.9691 -2.1974 0.6621
N -0.7111 -1.8849 0.1961
C -0.0478 -2.9476 -0.1953
H -3.1457 -4.0180 0.9301
H -2.6228 -1.4179 1.0192
H 0.9576 -2.9101 -0.5842
N 1.1218 -0.3350 1.7547
C 0.8744 -0.6599 2.8704
C 0.5844 -1.0611 4.1172
C 0.5158 -0.0972 5.1645
N 0.4428 0.7119 5.9768
C 0.3389 -2.4502 4.3233
N 0.1112 -3.5712 4.4364
*
```

No. 3
This record from the Open Molecules 2025 dataset describes the ion C2H4NO with charge +1 at a distorted geometry. The level of theory is ωB97M-V/def2-TZVPD.

Values from the calculation:
highest occupied orbital energy: -14.68 eV
LUMO energy: -4.15 eV
max |F|: 7.292 eV Å⁻¹
structure (SMILES): [NH3+]C#CO
HOMO-LUMO gap: 0.38720 Ha
relative energy (zero: lowest compared OMol25 entry of this formula, charge and spin): 2.072 eV
E_tot: -208.19450 Ha

ORCA input file:
```
! RIJCOSX wB97M-V def2-TZVPD def2/J DEFGRID3
* xyz 1 1
C 0.4968 -0.1380 -0.1298
C 1.7389 0.1676 -0.0333
N -0.8467 -0.1731 0.2952
O 2.9782 0.2594 -0.1571
H -1.2803 0.6190 0.5683
H -0.8477 -0.7590 1.0556
H -1.4667 -0.5583 -0.4486
........
- Niffenegger, Audrey
- O'Neill, Joseph
- Onions, Oliver
- Outlaws
[Next to the page, the page also holds records of molecules]
+++
# 1
{
  "formula": "C14H15BCl2N4RhS3",
  "method": "ωB97M-V with the def2-TZVPD basis set",
  "total_charge": 1,
  "e_homo_ev": -10.85,
  "gap_ev": 6.7,
  "elements": ["H", "N", "C", "C", "Cl", "S", "C", "H", "H", "N", "C", "H", "C", "B", "C", "C", "C", "H", "H", "H", "H", "N", "C", "C", "S", "Rh", "C", "H", "C", "S", "H", "H", "H", "H", "H", "N", "C", "H", "Cl", "C"],
  "coordinates": [[-4.93859, -2.83827, 2.66154], [-1.83187, 0.52680, -1.47511], [0.12573, 0.99837, -2.37234], [-3.72104, 0.27449, 2.12258], [-1.95329, 2.75857, 1.35967], [-0.35710, -1.71412, 1.23551], [-4.23307, -2.06080, 2.39914], [5.99696, -1.04502, 0.72434], [-3.81326, 0.97803, -0.94496], [4.53332, -0.34009, -0.60295], [3.39703, -0.04238, 0.04643], [1.42300, 1.86221, 1.16675], [-2.00344, -1.45287, 1.72140], [1.49730, 1.65925, -0.17574], [-2.94937, -2.43339, 2.03068], [3.59428, 1.32765, -1.67926], [5.48164, -1.36062, -0.18130], [4.95207, -2.29116, 0.01190], [5.51895, 0.47090, -2.34152], [-1.62508, 0.42258, -3.60730], [-5.62099, -0.47305, 2.76909], [0.23739, 1.09868, -1.00675], [-4.61743, -0.72840, 2.46002], [-0.95580, 0.81201, -0.51099], [2.85636, -0.82031, 1.48194], [0.87014, 0.36280, 1.70709], [-2.45812, -0.14048, 1.74461], [3.34077, 2.14526, -2.33021], [-3.23892, 0.14815, -1.35128], [-1.07454, 0.87328, 1.25818], [1.54802, 2.83398, -0.42222], [-4.00444, 1.31673, 2.14417], [6.20232, -1.51182, -0.97937], [0.95807, 1.18210, -3.02750], [-3.33991, -0.72553, -0.71318], [2.78751, 0.96356, -0.60900], [-1.14776, 0.62840, -2.66559], [-3.59861, -0.09016, -2.34737], [-2.50882, -4.09168, 1.98155], [4.67061, 0.51636, -1.68263]],
  "forces_ev_per_a": [[0.0, 0.0, 0.0], [0.1, 0.0, -0.2], [0.1, 0.0, 0.1], [-0.1, 0.0, -0.1], [-0.1, 0.1, -0.1], [0.6, -0.5, 0.3], [-0.1, -0.2, 0.0], [0.0, 0.0, 0.0], [0.0, 0.0, 0.0], [0.0, 0.0, 0.0], [-0.1, 0.0, 0.0], [0.4, 0.0, 0.0], [-0.3, 0.0, 0.0], [0.1, 0.0, 0.1], [0.1, 0.1, 0.0], [0.1, 0.0, 0.0], [0.0, 0.0, 0.0], [0.0, 0.0, 0.0], [0.0, 0.0, 0.0], [0.0, 0.0, 0.0], [0.0, 0.0, 0.0], [-0.1, 0.1, -0.2], [0.0, 0.1, 0.0], [-0.1, 0.0, 0.2], [0.0, 0.2, -0.2], [-0.1, -0.6, -0.3], [0.2, 0.2, 0.0], [0.0, 0.0, 0.0], [0.0, 0.0, 0.0], [-0.8, 0.5, 0.1], [0.0, 0.0, -0.1], [0.0, 0.0, 0.0], [0.0, 0.0, 0.0], [0.0, 0.0, 0.0], [0.0, 0.0, 0.0], [0.1, 0.0, 0.2], [0.0, 0.0, 0.0], [0.0, 0.0, 0.0], [0.0, -0.1, 0.0], [-0.1, 0.0, 0.0]]
}

# 2
{
  "formula": "C26H15Br2CdF2N7O2S2",
  "method": "ωB97M-V with the def2-TZVPD basis set",
  "relative_energy_kj_mol": 6.6,
  "total_charge": -2,
  "e_homo_ev": -1.89,
  "gap_ev": 5.4,
  "elements": ["C", "C", "C", "N", "H", "N", "S", "H", "C", "S", "C", "C", "H", "Br", "C", "N", "O", "C", "C", "O", "H", "C", "Cd", "H", "C", "H", "C", "H", "F", "C", "H", "H", "H", "C", "Br", "N", "C", "F", "H", "C", "H", "H", "C", "C", "C", "H", "N", "C", "H", "C", "C", "C", "N", "C", "C", "N", "C"],
+++
- Pakenham, Ivo
- Parallel Worlds
- Parrinder, Patrick
- Paton Walsh, Jill
- Pauvert, Olivier
- Pavić, Milorad
- Pearce, Philippa
- Peck, Richard
- Perriman, Cole
- Philadelphia Experiment, The
- Pier, Garrett Chatfield
- Planet of the Apes
- Popadantsvo >
- Popular Magazine, The
- Porter, Henry
- Pratchett, Terry
- Precognition
- Prehistoric SF
- Prehistoric Women
- Priest, Christopher
- Priestley, J B
- Quick, Dorothy
- Red Magazine, The
- Red Shift
- Reed, Jeremy
- Rhodes, H Henry
- Rice, Anne
- Robb, J D
- Roberts, Michèle
- Rolfe, Frederick
- Romanov, German
- Rose, F Horace
- Rosendorfer, Herbert
- Ruins and Futurity
- Salvatore, R A
- Saturday Evening Post
- Savitsky, Georgiy
- Schenck, Hilbert
- Schwartz, Ellen
- Scott, Allan
- Scott, Deborah
- Sengoku Jieitai
- Service, Pamela F
- Sessions, Richard
- Severn, David
- Shakespeare, William
- Shaw, George Bernard
- Sheckley, Robert
- Shulman, Dee
- Sidewise Award
- Sierra, Javier
- Simpson, George E
- Sinclair, Upton
- Slavery
- Slocombe, George
- Sociology
- Squire, J C
- Starhunter
- Stearns, Theodore
- Stirling, S M
- Stoddard, William O
- Strand Magazine, The
- Swindells, Robert E
- Symons, Geraldine
- Syrett, Netta
- Takahashi Rumiko
- Tearmoon Empire
- Temporal Adventuress
- Tennant, Emma
- Thomas, D M
- Thomas, Eugene E
- Tidhar, Lavie
- Time
- Time Bandits
- Time Gate
- Time Machine
- Time Paradoxes
- Time Travel
- Time Traveler's Wife, The
- Timeline
- Timeslip [film]
- Toki o Kakeru Shōjo
- Tolkien, J R R
- Transgender SF
- Treasure Planet
- Twain, Mark
- Twohy, David
- Urban Legends
- Vermes, Timur
- Véry, Pierre
- Vidal, Gore
- Wallach, Tommy
- Webb, Robert
- Westall, Robert
- White, Skyler
- Williams, Charles
- Winawer, Melodie
- Witcover, Paul
- Wolfe, Gene
- Woolf, Virginia
- World War One
- World War Three
- World War Two
- World Without End
- Wyndham, Eric
- Yates, Dornford
- Zagreb Film